~~~
No. 1
The following is a DFT calculation (PBE) of crystalline TiAu3 at its relaxed geometry.

Computed properties:
Total energy: -18.825 eV per formula unit
Mass density: 15.18 Mg/m³

```
data_TiAu3
_chemical_formula_sum 'Ti2 Au6'
_cell_length_a 4.236
_cell_length_b 4.236
_cell_length_c 7.788
_cell_angle_alpha 90.00
_cell_angle_beta 90.00
_cell_angle_gamma 90.00
_symmetry_space_group_name_H-M 'I 4/m m m'
_symmetry_Int_Tables_number 139
_symmetry_space_group_name_Hall '-I 4 2'
loop_
_atom_site_label
_atom_site_type_symbol
_atom_site_fract_x
_atom_site_fract_y
_atom_site_fract_z
Ti1 Ti 0.000 0.000 0.000
Au1 Au 0.000 0.000 0.500
Au2 Au 0.000 0.500 0.250
```


No. 2
The following is a DFT calculation (PBE) of crystalline SmH18Br3O18 at its relaxed geometry.

Computed properties:
Total energy: -195.182 eV per formula unit
Mass density: 2.74 Mg/m³

```
data_SmH18Br3O18
_chemical_formula_sum 'Sm2 H36 Br6 O36'
_cell_length_a 11.9566
_cell_length_b 11.9566
_cell_length_c 6.8094
_cell_angle_alpha 90.00
_cell_angle_beta 90.00
_cell_angle_gamma 120.00
_symmetry_space_group_name_H-M 'P 63 m c'
_symmetry_Int_Tables_number 186
_symmetry_space_group_name_Hall 'P 6c -2c'
loop_
_atom_site_label
_atom_site_type_symbol
_atom_site_fract_x
_atom_site_fract_y
_atom_site_fract_z
Sm1 Sm 0.3333 0.6667 0.0000
H1 H 0.1164 0.3678 0.0020
H2 H 0.1284 0.4980 0.3166
H3 H 0.1282 0.4981 0.6833
Br1 Br 0.1310 0.2620 0.5078
O1 O 0.0681 0.3632 0.4998
O2 O 0.0929 0.1859 0.2941
O3 O 0.1585 0.5792 0.2435
O4 O 0.1585 0.5792 0.7563
O5 O 0.2113 0.4225 0.9960
```


No. 3
The following is a DFT calculation (PBE) of crystalline SbP4O12 at its relaxed geometry.

Computed properties:
Total energy: -117.137 eV per formula unit
Offset from the most stable computed form: 11 meV per atom
Mass density: 3.18 Mg/m³

```
data_SbP4O12
_chemical_formula_sum 'Sb2 P8 O24'
_cell_length_a 7.154
_cell_length_b 8.471
_cell_length_c 7.541
_cell_angle_alpha 90.00
_cell_angle_beta 91.50
_cell_angle_gamma 90.00
_symmetry_space_group_name_H-M 'P 1 21 1'
_symmetry_Int_Tables_number 4
loop_
_symmetry_equiv_pos_as_xyz
'x,y,z'
'-x,y+1/2,-z'
loop_
_atom_site_label
_atom_site_type_symbol
_atom_site_fract_x
_atom_site_fract_y
_atom_site_fract_z
Sb1 Sb 0.250 0.000 0.248
P1 P 0.004 0.172 0.610
P2 P 0.086 0.440 0.093
P3 P 0.396 0.260 0.585
P4 P 0.438 0.644 0.083
O1 O 0.001 0.959 0.093
O2 O 0.011 0.074 0.791
O3 O 0.027 0.065 0.453
O4 O 0.084 0.283 0.179
O5 O 0.168 0.776 0.394
O6 O 0.184 0.281 0.644
O7 O 0.302 0.496 0.075
O8 O 0.337 0.800 0.063
O9 O 0.400 0.202 0.397
O10 O 0.405 0.119 0.044
O11 O 0.475 0.125 0.717
O12 O 0.487 0.417 0.623
```


No. 4
The following is a DFT calculation (PBE) of crystalline PrMgNi4 at its relaxed geometry.

Computed properties:
Total energy: -31.347 eV per formula unit
Mass density: 7.28 Mg/m³

```
data_PrMgNi4
_chemical_formula_sum 'Pr4 Mg4 Ni16'
_cell_length_a 7.148
_cell_length_b 7.148
_cell_length_c 7.148
_cell_angle_alpha 90.00
_cell_angle_beta 90.00
_cell_angle_gamma 90.00
_symmetry_space_group_name_H-M 'F -4 3 m'
_symmetry_Int_Tables_number 216
_symmetry_space_group_name_Hall 'F -4 2 3'
loop_
_atom_site_label
_atom_site_type_symbol
_atom_site_fract_x
_atom_site_fract_y
_atom_site_fract_z
Pr1 Pr 0.000 0.000 0.000
Mg1 Mg 0.250 0.250 0.250
Ni1 Ni 0.123 0.123 0.623
```


No. 5
The following is a DFT calculation (PBE) of crystalline Sr3BCNCl2 at its relaxed geometry.

Computed properties:
Total energy: -43.574 eV per formula unit
Mass density: 3.48 Mg/m³

```
data_Sr3BCNCl2
_chemical_formula_sum 'Sr12 B4 C4 N4 Cl8'
_cell_length_a 14.687
_cell_length_b 4.090
_cell_length_c 11.783
_cell_angle_alpha 90.00
_cell_angle_beta 90.00
_cell_angle_gamma 90.00
_symmetry_space_group_name_H-M 'P n m a'
_symmetry_Int_Tables_number 62
loop_
_symmetry_equiv_pos_as_xyz
'x,y,z'
'-x,-y,-z'
'-x+1/2,-y,z+1/2'
'x+1/2,y,-z+1/2'
'x+1/2,-y+1/2,-z+1/2'
'-x+1/2,y+1/2,z+1/2'
'-x,y+1/2,-z'
'x,-y+1/2,z'
loop_
_atom_site_label
_atom_site_type_symbol
_atom_site_fract_x
_atom_site_fract_y
_atom_site_fract_z
~~~

What is needed: reproduce the whole of the listing further above exactly.

No. 1
The following is a DFT calculation (PBE) of crystalline TiAu3 at its relaxed geometry.

Computed properties:
Total energy: -18.825 eV per formula unit
Mass density: 15.18 Mg/m³

```
data_TiAu3
_chemical_formula_sum 'Ti2 Au6'
_cell_length_a 4.236
_cell_length_b 4.236
_cell_length_c 7.788
_cell_angle_alpha 90.00
_cell_angle_beta 90.00
_cell_angle_gamma 90.00
_symmetry_space_group_name_H-M 'I 4/m m m'
_symmetry_Int_Tables_number 139
_symmetry_space_group_name_Hall '-I 4 2'
loop_
_atom_site_label
_atom_site_type_symbol
_atom_site_fract_x
_atom_site_fract_y
_atom_site_fract_z
Ti1 Ti 0.000 0.000 0.000
Au1 Au 0.000 0.000 0.500
Au2 Au 0.000 0.500 0.250
```


No. 2
The following is a DFT calculation (PBE) of crystalline SmH18Br3O18 at its relaxed geometry.

Computed properties:
Total energy: -195.182 eV per formula unit
Mass density: 2.74 Mg/m³

```
data_SmH18Br3O18
_chemical_formula_sum 'Sm2 H36 Br6 O36'
_cell_length_a 11.9566
_cell_length_b 11.9566
_cell_length_c 6.8094
_cell_angle_alpha 90.00
_cell_angle_beta 90.00
_cell_angle_gamma 120.00
_symmetry_space_group_name_H-M 'P 63 m c'
_symmetry_Int_Tables_number 186
_symmetry_space_group_name_Hall 'P 6c -2c'
loop_
_atom_site_label
_atom_site_type_symbol
_atom_site_fract_x
_atom_site_fract_y
_atom_site_fract_z
Sm1 Sm 0.3333 0.6667 0.0000
H1 H 0.1164 0.3678 0.0020
H2 H 0.1284 0.4980 0.3166
H3 H 0.1282 0.4981 0.6833
Br1 Br 0.1310 0.2620 0.5078
O1 O 0.0681 0.3632 0.4998
O2 O 0.0929 0.1859 0.2941
O3 O 0.1585 0.5792 0.2435
O4 O 0.1585 0.5792 0.7563
O5 O 0.2113 0.4225 0.9960
```


No. 3
The following is a DFT calculation (PBE) of crystalline SbP4O12 at its relaxed geometry.

Computed properties:
Total energy: -117.137 eV per formula unit
Offset from the most stable computed form: 11 meV per atom
Mass density: 3.18 Mg/m³

```
data_SbP4O12
_chemical_formula_sum 'Sb2 P8 O24'
_cell_length_a 7.154
_cell_length_b 8.471
_cell_length_c 7.541
_cell_angle_alpha 90.00
_cell_angle_beta 91.50
_cell_angle_gamma 90.00
_symmetry_space_group_name_H-M 'P 1 21 1'
_symmetry_Int_Tables_number 4
loop_
_symmetry_equiv_pos_as_xyz
'x,y,z'
'-x,y+1/2,-z'
loop_
_atom_site_label
_atom_site_type_symbol
_atom_site_fract_x
_atom_site_fract_y
_atom_site_fract_z
Sb1 Sb 0.250 0.000 0.248
P1 P 0.004 0.172 0.610
P2 P 0.086 0.440 0.093
P3 P 0.396 0.260 0.585
P4 P 0.438 0.644 0.083
O1 O 0.001 0.959 0.093
O2 O 0.011 0.074 0.791
O3 O 0.027 0.065 0.453
O4 O 0.084 0.283 0.179
O5 O 0.168 0.776 0.394
O6 O 0.184 0.281 0.644
O7 O 0.302 0.496 0.075
O8 O 0.337 0.800 0.063
O9 O 0.400 0.202 0.397
O10 O 0.405 0.119 0.044
O11 O 0.475 0.125 0.717
O12 O 0.487 0.417 0.623
```


No. 4
The following is a DFT calculation (PBE) of crystalline PrMgNi4 at its relaxed geometry.

Computed properties:
Total energy: -31.347 eV per formula unit
Mass density: 7.28 Mg/m³

```
data_PrMgNi4
_chemical_formula_sum 'Pr4 Mg4 Ni16'
_cell_length_a 7.148
_cell_length_b 7.148
_cell_length_c 7.148
_cell_angle_alpha 90.00
_cell_angle_beta 90.00
_cell_angle_gamma 90.00
_symmetry_space_group_name_H-M 'F -4 3 m'
_symmetry_Int_Tables_number 216
_symmetry_space_group_name_Hall 'F -4 2 3'
loop_
_atom_site_label
_atom_site_type_symbol
_atom_site_fract_x
_atom_site_fract_y
_atom_site_fract_z
Pr1 Pr 0.000 0.000 0.000
Mg1 Mg 0.250 0.250 0.250
Ni1 Ni 0.123 0.123 0.623
```


No. 5
The following is a DFT calculation (PBE) of crystalline Sr3BCNCl2 at its relaxed geometry.

Computed properties:
Total energy: -43.574 eV per formula unit
Mass density: 3.48 Mg/m³

```
data_Sr3BCNCl2
_chemical_formula_sum 'Sr12 B4 C4 N4 Cl8'
_cell_length_a 14.687
_cell_length_b 4.090
_cell_length_c 11.783
_cell_angle_alpha 90.00
_cell_angle_beta 90.00
_cell_angle_gamma 90.00
_symmetry_space_group_name_H-M 'P n m a'
_symmetry_Int_Tables_number 62
loop_
_symmetry_equiv_pos_as_xyz
'x,y,z'
'-x,-y,-z'
'-x+1/2,-y,z+1/2'
'x+1/2,y,-z+1/2'
'x+1/2,-y+1/2,-z+1/2'
'-x+1/2,y+1/2,z+1/2'
'-x,y+1/2,-z'
'x,-y+1/2,z'
loop_
_atom_site_label
_atom_site_type_symbol
_atom_site_fract_x
_atom_site_fract_y
_atom_site_fract_z